Good afternoon and welcome to this Saturday afternoon Autumn Meeting.
We, the Committee, thought we would hold this year’s meeting at this time in the hope that it was a more attractive time for listeners and volunteers. We are delighted 13 listeners have been able to attend, many more than have attended previous meetings for very many years. So thank you to everyone who is here. We will be very pleased to hear your comments about the afternoon.
The procedures for the referral of new listeners has remained the same withthe Oxfordshire County Council’s Visual Impairment Team referringthe majority of new listeners regularly through-out the year. This is followed by the small team of OXTALK trainers making home visits. At the home visit the trainer takes one of the BOOMBOX Plus players, this is both a radio and digital player and has been very well received by all who are now using it. Before deciding which player to buy this year we asked Margaret Brinkhurst and Irene Read for their opinions. Margaret and Irene are themselves visually impaired and Committee members. It was on their recommendations that the BoomBox Plus was purchased. Thanks to them for this advice and thank you to the trainers. Many of the younger people referred decide to listen on-line or use whatever digital player they have already. We post out on average 90 memory sticks a week and despite receiving Google Analytics Reports we are not able to find out how many people do listen on-line.
There was another Ashmolean touch tour during the year. Thank you to the volunteer drivers who drove listeners to and from the Ashmolean and thank you to the volunteers who have driven some of the listeners to this meeting – and hopefully they will drive you home again!!
During 2014 Anne and Geoff Ambler spent many a jolly hour completing grant application forms and organising fund raising events. Their hard work has been successful and as you heard from Geoff OXTALK is financially sound for the next year. Thank you to Anne and Geoff.
As many of you will be aware OUHT have decided, that the building RC has used for many years as the home for Oxford Hospital Radio Station, has to close. This has also been the recording and copying base for OXTALK too. [If NS is present ask if he wishes to say anything.] RC have been in negotiations with OUHT for most of the year, the building was going to be taken out of use by OUHT first at the end of June and then the end of September and as of today I cannot let you know when OUHT may close the building. RC has now been offered an alternative building – The Old Gatehouse on the Churchill site. This building is a quarter the size of the current building, is in a very dilapidated state and needs £75,000 spending on it to make it fit for purpose. RC has to find this money and so are desperately fund raising as the money has to be raised as quickly as possible – not an easy task. Because of the reduction in size there will be only 1 recording studio which RC anticipate they will be using every night. It is therefore very probable that OXTALK will have to find a new recording and copying base.A change of venue is going to affect all OXTALK volunteers and I will be liaising with the volunteers in the very near future. If and when OXTALK has to move to new premises then there very probably will be a period of time when we will not be able to produce OXTALK. Hopefully we will have time to let listeners know that OXTALK is going ‘off air’ and for approximately how long. Please be assured we will keep it as short a time as is possible.
At this time of the year I ask all the volunteers if they are available for the next year - 2015. At the end of 2014 5 Copiers are leaving and 6 Readers. I have been able to replace 5 Readers but as yet none of the Copiers. But we have until the end of this year to find replacements and I say we because I am asking you to speak to your friends and family to ask if anyone is interested in joining us. In the Summer Larry Sider joined as a TO, so there are 5 TOs and 1 Reserve TO. Without TOs there would be no OXTALK. Of the 11 volunteers we are saying ‘thank you and good bye to’ some have been connected with OXTALK for many years, Carol Aistrop, Sue and Tamsin Morris and Margaret Croucher. Carol Aistrop in particular is some whose name will be known to you.
At the beginning of September Muriel Wittrick died and for those listeners and volunteers who were involved over 30 years ago you will know that Muriel and Keith Wittrick were the founder members and the driving force in establishing OXTALK. With the anticipated changes to the Recording Studio for RC and therefore the resulting changes for OXTALK, 2015 is going to be the start of a new phase for OXTALK.
Not only do we say ‘thank you’ to the people who are leaving I say ‘thank you’ to all the volunteers who support OXTALK, because without their continuing support there would be no OXTALK. So much goes on unseen and at the AGM I can publically thank the Committee members for their willingness to give the extra that is required. Thank you.
=====
This entry pairs a crystal structure of KAs2Ru with its theoretical X-ray powder pattern. Radiation: Cu Kα (weighted mean of Kα1 and Kα2). Structure: a PBE-relaxed structure.
No peak broadening, texture or thermal motion is included.

```
data_KAs2Ru
_chemical_formula_sum 'K2 As4 Ru2'
_cell_length_a 7.571
_cell_length_b 3.619
_cell_length_c 7.410
_cell_angle_alpha 90.00
_cell_angle_beta 112.11
_cell_angle_gamma 90.00
_space_group_name_H-M_alt 'P 1'
_space_group_IT_number 1
loop_
_space_group_symop_operation_xyz
'x,y,z'
loop_
_atom_site_label
_atom_site_type_symbol
_atom_site_fract_x
_atom_site_fract_y
_atom_site_fract_z
K1 K 0.000 0.000 0.000
K2 K 0.500 0.500 0.000
As1 As 0.170 0.000 0.651
As2 As 0.446 0.000 0.364
As3 As 0.670 0.500 0.651
As4 As 0.946 0.500 0.364
Ru1 Ru 0.286 0.500 0.460
Ru2 Ru 0.786 0.000 0.460
```

Largest 10 diffraction maxima, sorted by position, 2θ = 10–90°:
- d = 6.865 Å, I = 100.0
- d = 3.127 Å, I = 18.7
- d = 2.735 Å, I = 35.5
- d = 2.580 Å, I = 48.8
- d = 2.069 Å, I = 30.8
- d = 2.038 Å, I = 16.3
- d = 1.964 Å, I = 13.4
- d = 1.810 Å, I = 11.2
- d = 1.749 Å, I = 10.3
- d = 1.510 Å, I = 10.0



This entry pairs a crystal structure of K2AsRu with its theoretical X-ray powder pattern. Radiation: Cu Kα (weighted mean of Kα1 and Kα2). Structure: a PBE-relaxed structure.
No peak broadening, texture or thermal motion is included.

```
data_K2AsRu
_chemical_formula_sum 'K4 As2 Ru2'
_cell_length_a 7.169
_cell_length_b 4.149
_cell_length_c 9.839
_cell_angle_alpha 90.00
_cell_angle_beta 103.31
_cell_angle_gamma 90.00
_space_group_name_H-M_alt 'P 1'
_space_group_IT_number 1
loop_
_space_group_symop_operation_xyz
'x,y,z'
loop_
_atom_site_label
_atom_site_type_symbol
_atom_site_fract_x
_atom_site_fract_y
_atom_site_fract_z
K1 K 0.000 0.000 0.000
K2 K 0.167 0.000 0.531
K3 K 0.500 0.500 0.000
K4 K 0.667 0.500 0.531
As1 As 0.250 0.500 0.265
As2 As 0.750 0.000 0.265
Ru1 Ru 0.416 0.000 0.266
Ru2 Ru 0.916 0.500 0.266
```

Largest 10 diffraction maxima, sorted by position, 2θ = 10–90°:
- d = 4.787 Å, I = 41.4
- d = 3.220 Å, I = 63.8
- d = 3.191 Å, I = 100.0
- d = 3.059 Å, I = 39.5
- d = 3.036 Å, I = 79.4
- d = 2.711 Å, I = 47.7
- d = 2.394 Å, I = 46.1
- d = 2.072 Å, I = 92.4
- d = 2.028 Å, I = 53.8
- d = 1.739 Å, I = 32.3



This entry pairs a crystal structure of KAsS3 with its theoretical X-ray powder pattern. Radiation: Cu Kα (weighted mean of Kα1 and Kα2). Structure: a PBE-relaxed structure.
No peak broadening, texture or thermal motion is included.

```
data_KAsS3
_chemical_formula_sum 'K2 As2 S6'
_cell_length_a 4.682
_cell_length_b 7.942
_cell_length_c 7.832
_cell_angle_alpha 90.00
_cell_angle_beta 100.60
_cell_angle_gamma 90.00
_space_group_name_H-M_alt 'P 1'
_space_group_IT_number 1
loop_
_space_group_symop_operation_xyz
'x,y,z'
loop_
_atom_site_label
_atom_site_type_symbol
_atom_site_fract_x
_atom_site_fract_y
_atom_site_fract_z
K1 K 0.054 0.000 0.181
K2 K 0.946 0.500 0.819
As1 As 0.287 0.997 0.756
As2 As 0.713 0.497 0.244
=====
You will be able to say ‘thank you’ yourselves as some of the Committee Members have taken part in the OXTALK bake-off to produce the refreshments we will shortly be enjoying!
Thank you for coming. Please be patient with any ‘break in service’ that might occur in 2015 and remember to change your clocks and watches when you go home tonight – we gain an extra hour tomorrow!
Next to the piece, the page also holds crystal structures:
~~~
# PrZnPd3
Simulated X-ray powder pattern, Cu Kα X-rays. Input: DFT lattice parameters and positions (PBE).
Lines closer than 0.1° are merged.

Largest 10 diffraction maxima, low angle first, 10° ≤ 2θ ≤ 90°:
2θ (°), Rel. int., h k l
29.3, 41, 0 0 4
34.4, 20, 2 0 1
36.8, 100, 2 0 2
40.5, 31, 2 0 3
45.2, 12, 2 0 4
50.7, 20, 2 0 5
57.0, 24, 2 0 6
60.1, 24, 2 2 0
68.3, 17, 2 2 4
72.6, 13, 4 0 2

```
data_PrZnPd3
_chemical_formula_sum 'Pr4 Zn4 Pd12'
_space_group_name_H-M_alt 'P 63/m m c'
_space_group_IT_number 194
_space_group_name_Hall '-P 6c 2c'
_cell_length_a 6.1583
_cell_length_b 6.1583
_cell_length_c 12.1892
_cell_angle_alpha 90.00
_cell_angle_beta 90.00
_cell_angle_gamma 120.00
loop_
_atom_site_label
_atom_site_type_symbol
_atom_site_fract_x
_atom_site_fract_y
_atom_site_fract_z
_atom_site_occupancy
Pr1 Pr 0.0000 0.0000 0.0000 1
Pr2 Pr 0.3333 0.6667 0.2500 1
Zn1 Zn 0.3333 0.6667 0.6386 1
Pd1 Pd 0.0000 0.5000 0.0000 1
Pd2 Pd 0.1416 0.2833 0.7500 1
```


Simulated X-ray powder pattern of Rb3Tl3AgCl8 for a wavelength of 1.5418 Å, from a DFT-relaxed cell (PBE, Alexandria).
Intensities are scaled so that the largest is 100.

Main lines, most intense first (15° ≤ 2θ ≤ 90°):
Position (°2θ)	I_rel
27.35	100
39.07	70
23.72	68
27.56	46
39.34	34
46.28	24
23.58	23
63.80	22
48.49	17
22.61	15

Crystal structure
Unit cell a=9.1625 b=9.1625 c=9.2303 alpha=119.85 beta=119.85 gamma=60.41
Atoms (fractional coordinates):
Rb  0.0000  0.0000  0.0000
Rb  0.0000  0.5000  0.5000
Rb  0.5000  0.0000  0.5000
Tl  0.0000  0.5000  0.0000
Tl  0.5000  0.0000  0.0000
Tl  0.5000  0.5000  0.5000
Ag  0.5000  0.5000  0.0000
Cl  0.2506  0.2506  0.2478
Cl  0.2855  0.7103  0.2141
Cl  0.2897  0.7145  0.7859
Cl  0.3065  0.3065  0.8086
Cl  0.6935  0.6935  0.1914
Cl  0.7103  0.2855  0.2141
Cl  0.7145  0.2897  0.7859
Cl  0.7494  0.7494  0.7522

Simulated X-ray powder pattern of Rb4Tl3AgCl8 for a wavelength of 1.5418 Å, from a DFT-relaxed cell (PBE, Alexandria).
Intensities are scaled so that the largest is 100.

Main lines, most intense first (15° ≤ 2θ ≤ 90°):
Position (°2θ)	I_rel
27.65	100
23.60	72
39.29	57
26.98	55
38.75	40
23.97	23
48.34	20
39.67	18
57.09	12
45.68	11

Crystal structure
Unit cell a=9.1794 b=9.1794 c=9.0891 alpha=118.81 beta=118.81 gamma=59.89
Atoms (fractional coordinates):
Rb  0.0000  0.0000  0.0000
Rb  0.0000  0.5000  0.5000
Rb  0.5000  0.0000  0.5000
Rb  0.5000  0.5000  0.0000
Tl  0.0000  0.0000  0.5000
Tl  0.0000  0.5000  0.0000
Tl  0.5000  0.0000  0.0000
Ag  0.5000  0.5000  0.5000
Cl  0.2420  0.2420  0.2391
Cl  0.2489  0.2489  0.7516
Cl  0.2766  0.7206  0.2805
Cl  0.2794  0.7234  0.7195
Cl  0.7206  0.2766  0.2805
Cl  0.7234  0.2794  0.7195
Cl  0.7511  0.7511  0.2484
Cl  0.7580  0.7580  0.7609

Simulated X-ray powder pattern of RbZrAg2Cl8 for a wavelength of 1.5418 Å, from a DFT-relaxed cell (PBE, Alexandria).
Intensities are scaled so that the largest is 100.

Main lines, most intense first (15° ≤ 2θ ≤ 90°):
Position (°2θ)	I_rel
19.79	100
30.52	56
26.66	35
20.28	25
~~~
Margaret A Simpson
CHAIR 25 October 2014.